Wednesday, October 8, 2008

A Week in the Life (and laughs) of the Winkler Boys

My boys are awesome and I love being their mom. They are hilarious-usually without meaning to be. Here is a glimpse into the past week and some of the antics of my precious boys.....

A Face Only a Mother Could Love
"Hey boys", I yelled, "Come see a picture of the new baby!" Excitedly, they ran into the office and stared at the ultrasound picture I was holding. Puzzled, Knox looked up at me. "Baby? it looks like a toilet seat to me."

The Downside to Being Prince Charming
"Mom, I was loving at school today!" Caleb proudly announced. "Really, how?" I inquired. "Brooke's necklace broke and I found the princess thing for her." "That was loving, Caleb!" "Yeah-Except now she tries to kiss me at recess."

Don't Hate Me Because I'm Beautiful
Knox came down dressed for church. "Sorry, bud. You can't wear those jeans anymore." I told him. "What?!? Why?", was the indignant response. "They have a stain and hole at the knee!" He sighed, "Oh mom, I don't always have to look REALLY good, do I?"

The Juicer
I gave Lucas some chopped up apples. At a maniacal pace, he put one square in his mouth, sucked the juice out, and spit the apple onto the floor. Repeatedly. His brothers found this hysterical. Me? Not so much.

Jesus Gloves Me, This I Know
Knox read Caleb their bedtime devotional. They came downstairs to tell me they were finished. "I even taught him the verse and everything!", Knox exclaimed. "Yep!", Caleb confirmed. "Jesus said 'I will never leave you or mistake you'!"
(The actual verse says..."or forsake you")

Young Republican
At breakfast, Knox decided to strike up an adult conversation. "So mom, who are you voting for? John McCain or that other guy?"

Chef Boyar-don't
I had left out a stick of butter so it could soften on the counter. I ran down to the office to check on Caleb doing his homework and left Lucas in the kitchen playing with his blocks. I came back a couple of minutes later and found Lucas covered, head to toe, with butter. He had also greased a four foot section of the kitchen floor and was dancing on it. He was all greased up and smiling proudly at me.

Identity Crisis
Caleb was doing his writing homework and sighed loudly. "I wish I wasn't part of the Winkler Family" he said sadly. "Why?" I asked. "Because K's are TOO hard to write!"

........
TlHg2BBr, relaxed, DFT PBEsol; V = 22.66 Å³/atom; E_form (uncorrected) = 108 meV/atom
1.0
-3.140 2.496 -2.073
-3.244 -2.392 2.034
0.033 3.576 4.256
Tl B Hg Br
1 1 2 1
Direct
0.000 0.000 0.500 Tl
0.000 0.000 0.000 B
0.000 0.500 0.000 Hg
0.500 0.000 0.000 Hg
0.500 0.500 0.500 Br

~~~~~

This record from Alexandria describes an optimized crystal structure of BaZrMo3. The functional is GGA-PBE.

## Properties
Crystal system = cubic
Space group = Pm-3m
Density = 6682 kg/m3
ΔE to the lowest computed polymorph = 0.000 eV per formula unit
Size of the total moment = 0.0 μB per cell

Structure (CIF):
```
data_BaZrMo3
_chemical_formula_sum 'Ba1 Zr1 Mo3'
_cell_length_a 5.044
_cell_length_b 5.044
_cell_length_c 5.044
_cell_angle_alpha 90.00
_cell_angle_beta 90.00
_cell_angle_gamma 90.00
_symmetry_space_group_name_H-M 'P 1'
_symmetry_Int_Tables_number 1
_symmetry_space_group_name_Hall 'P 1'
loop_
_atom_site_label
_atom_site_fract_x
_atom_site_fract_y
_atom_site_fract_z
Mo1 0.000 0.500 0.000
Mo2 0.000 0.000 0.500
Mo3 0.500 0.000 0.000
Ba1 0.500 0.500 0.500
Zr1 0.000 0.000 0.000
```
........

An Acquired Taste
Something happened to the first batch of fudge I made last night. It wouldn't harden. The boys wanted to try it anyway so I spooned out a sample. "OOOO, so good! But it kind of tastes like mud."

Right-Hooked on Phonics
During our morning reading time, I was reading one of Lucas' favorite books. He kept trying to snatch it out of my hands and was firmly rebuked each time. I kept reading. Frustrated, Lucas toddled over to his baby t-ball set. He grabbed his plastic bat, came back and WHACKED the book out of my hand. For good measure, he whacked the book on the floor a couple times and then me on the shoulder. Yes, reading time was officially over. Discipline time was ready to begin!

And On That Farm There Was A Hen-Cow?
I made Chicken Parmesan for dinner. Knox really loved it. "Yum! Mom, this chicken is SO good. Did you make it out of steak?"

1 comment:

mares-e-dotes said...

no freaking way!!! I could never choose my favorite of these stories, but the steak one just made my day! What a great family. I don't think it would be that bad to be in the WinKler family, but "Wight" doesn't have any hard letters, so ask Caleb if that would work better for him. We would take him in an instant!